What is needed: copy the lines further down up to the one that holds "Entry 2:", that line included.

Entry 1:
{"formula": "C22H22Cl3N6O3Tm", "method": "ωB97M-V/def2-TZVPD", "elements": ["Tm", "N", "C", "C", "N", "C", "C", "N", "H", "H", "H", "H", "H", "H", "H", "H", "H", "H", "H", "H", "H", "Cl", "C", "C", "C", "Cl", "C", "O", "C", "Cl", "C", "H", "H", "O", "N", "O", "C", "C", "C", "C", "C", "C", "N", "C", "C", "N", "C", "C", "C", "C", "H", "H", "H", "H", "H", "H", "H"], "coordinates": [[0.5367, -0.2704, 0.5336], [-0.1044, 1.4481, 2.2873], [-0.1071, 0.8042, 3.6305], [-0.9353, -0.4567, 3.5843], [-0.3973, -1.4210, 2.5902], [0.6695, -2.2922, 3.1366], [1.1037, -3.2697, 2.0648], [1.5971, -2.5577, 0.8512], [0.5288, 2.2440, 2.3152], [-1.0276, 1.8441, 2.1202], [-0.5058, 1.4710, 4.3943], [0.9248, 0.5875, 3.9091], [-1.9538, -0.2074, 3.2780], [-0.9981, -0.9045, 4.5782], [-1.1666, -2.0391, 2.3461], [0.3220, -2.8426, 4.0130], [1.5102, -1.6743, 3.4552], [0.2496, -3.8816, 1.7690], [1.8521, -3.9510, 2.4668], [1.6010, -3.1998, 0.0625], [2.5782, -2.3244, 0.9937], [7.6240, 1.5339, -0.3243], [5.9516, 1.1458, -0.4728], [5.2149, 0.8746, 0.6661], [3.8856, 0.5642, 0.4770], [2.8294, 0.2679, 1.9022], [3.2440, 0.4912, -0.7475], [1.9447, 0.1528, -0.8091], [4.0172, 0.8028, -1.8590], [3.2779, 0.7866, -3.4163], [5.3593, 1.1196, -1.7281], [5.6636, 0.9162, 1.6488], [5.9444, 1.3502, -2.6076], [-5.5953, 1.9521, -4.0227], [-4.4123, 2.1593, -3.9415], [-3.7901, 2.9968, -4.5614], [-3.6403, 1.3163, -2.9938], [-4.1091, 0.0848, -2.7810], [-3.3821, -0.8230, -1.9354], [-3.7829, -2.1591, -1.7605], [-3.0269, -2.9953, -0.9824], [-1.8837, -2.4743, -0.3777], [-1.4911, -1.2159, -0.5042], [-2.2317, -0.3886, -1.2912], [-1.7817, 0.9739, -1.4806], [-0.6893, 1.3600, -0.7811], [-0.1818, 2.5582, -0.9993], [-0.7449, 3.4643, -1.8942], [-1.8839, 3.1089, -2.5639], [-2.4389, 1.8240, -2.3686], [-5.0224, -0.2339, -3.2658], [-4.6788, -2.5181, -2.2534], [-3.2895, -4.0335, -0.8367], [-1.2584, -3.1172, 0.2320], [0.7156, 2.8195, -0.4493], [-0.2874, 4.4319, -2.0437], [-2.3474, 3.7963, -3.2534]], "e_above_lowest_kcal_mol": 0.00, "spin_multiplicity": 3, "total_energy_ev": -105340.5928, "homo_ev": [-13.560, -13.566], "s_squared": 2.00, "charge": 2}

Entry 2:

Entry 1:
{"formula": "C22H22Cl3N6O3Tm", "method": "ωB97M-V/def2-TZVPD", "elements": ["Tm", "N", "C", "C", "N", "C", "C", "N", "H", "H", "H", "H", "H", "H", "H", "H", "H", "H", "H", "H", "H", "Cl", "C", "C", "C", "Cl", "C", "O", "C", "Cl", "C", "H", "H", "O", "N", "O", "C", "C", "C", "C", "C", "C", "N", "C", "C", "N", "C", "C", "C", "C", "H", "H", "H", "H", "H", "H", "H"], "coordinates": [[0.5367, -0.2704, 0.5336], [-0.1044, 1.4481, 2.2873], [-0.1071, 0.8042, 3.6305], [-0.9353, -0.4567, 3.5843], [-0.3973, -1.4210, 2.5902], [0.6695, -2.2922, 3.1366], [1.1037, -3.2697, 2.0648], [1.5971, -2.5577, 0.8512], [0.5288, 2.2440, 2.3152], [-1.0276, 1.8441, 2.1202], [-0.5058, 1.4710, 4.3943], [0.9248, 0.5875, 3.9091], [-1.9538, -0.2074, 3.2780], [-0.9981, -0.9045, 4.5782], [-1.1666, -2.0391, 2.3461], [0.3220, -2.8426, 4.0130], [1.5102, -1.6743, 3.4552], [0.2496, -3.8816, 1.7690], [1.8521, -3.9510, 2.4668], [1.6010, -3.1998, 0.0625], [2.5782, -2.3244, 0.9937], [7.6240, 1.5339, -0.3243], [5.9516, 1.1458, -0.4728], [5.2149, 0.8746, 0.6661], [3.8856, 0.5642, 0.4770], [2.8294, 0.2679, 1.9022], [3.2440, 0.4912, -0.7475], [1.9447, 0.1528, -0.8091], [4.0172, 0.8028, -1.8590], [3.2779, 0.7866, -3.4163], [5.3593, 1.1196, -1.7281], [5.6636, 0.9162, 1.6488], [5.9444, 1.3502, -2.6076], [-5.5953, 1.9521, -4.0227], [-4.4123, 2.1593, -3.9415], [-3.7901, 2.9968, -4.5614], [-3.6403, 1.3163, -2.9938], [-4.1091, 0.0848, -2.7810], [-3.3821, -0.8230, -1.9354], [-3.7829, -2.1591, -1.7605], [-3.0269, -2.9953, -0.9824], [-1.8837, -2.4743, -0.3777], [-1.4911, -1.2159, -0.5042], [-2.2317, -0.3886, -1.2912], [-1.7817, 0.9739, -1.4806], [-0.6893, 1.3600, -0.7811], [-0.1818, 2.5582, -0.9993], [-0.7449, 3.4643, -1.8942], [-1.8839, 3.1089, -2.5639], [-2.4389, 1.8240, -2.3686], [-5.0224, -0.2339, -3.2658], [-4.6788, -2.5181, -2.2534], [-3.2895, -4.0335, -0.8367], [-1.2584, -3.1172, 0.2320], [0.7156, 2.8195, -0.4493], [-0.2874, 4.4319, -2.0437], [-2.3474, 3.7963, -3.2534]], "e_above_lowest_kcal_mol": 0.00, "spin_multiplicity": 3, "total_energy_ev": -105340.5928, "homo_ev": [-13.560, -13.566], "s_squared": 2.00, "charge": 2}

Entry 2: